
Thursday, January 8, 2015


Not exactly a thought of the day, but I loved this cartoon SO MUCH! From Saturday Morning Breakfast Cereal, of course!

Here the article breaks off for records of molecules:
........
Entry from OMol25: C38H35BiN8O2S3 as an isolated structure at a distorted geometry (wB97M-V/def2-TZVPD).

Properties
charge = 0
highest occupied orbital energy = -6.877 eV
energy above the lowest of the compared OMol25 structures with the same formula, charge and spin = 54.3 kcal/mol
E_LUMO = -0.9 eV
Kohn-Sham gap = 6.010 eV
DFT total energy = -94333.3751 eV

Last column: Mulliken charge in e.
CARTESIAN COORDINATES (ANGSTROEM)
Bi -1.301 -0.602 -1.534  2.216
N -4.192 1.394 1.229  -0.338
C -3.735 1.020 0.064  0.476
S -2.515 1.953 -0.773  -0.573
N -4.208 -0.141 -0.404  -1.047
N -3.738 -0.348 -1.696  0.424
C -4.614 -0.950 -2.489  -0.591
C -4.247 -1.233 -3.849  1.207
C -5.380 -1.549 -4.657  -1.041
C -5.173 -1.913 -5.944  -0.570
C -3.890 -1.863 -6.506  -0.442
C -2.810 -1.446 -5.777  -0.679
C -2.899 -1.153 -4.384  0.293
O -1.822 -0.834 -3.702  -0.464
H -3.621 1.881 1.897  0.111
H -4.990 0.966 1.564  0.225
H -5.669 -1.209 -2.207  0.111
H -6.316 -1.641 -4.148  0.356
H -6.006 -2.154 -6.572  0.393
H -3.763 -2.269 -7.526  0.329
H -1.800 -1.604 -6.176  0.308
O 2.726 -1.984 -2.325  -0.761
C 1.629 -1.386 -2.356  0.023
N 0.444 -2.012 -2.143  -0.571
C 0.502 -3.295 -1.420  -0.184
C -0.886 -3.853 -1.172  0.597
C -1.118 -5.214 -1.512  -0.700
C -2.408 -5.793 -1.406  -0.401
C -3.403 -5.017 -0.875  -0.808
C -3.092 -3.721 -0.464  -0.513
N -1.901 -3.097 -0.726  0.138
C 1.473 0.018 -2.856  0.561
C 2.432 0.498 -3.695  -0.396
C 2.275 1.853 -4.153  -0.465
C 1.115 2.523 -3.833  -0.742
C 0.171 1.971 -3.014  -0.159
N 0.341 0.749 -2.551  -0.007
H 0.955 -3.060 -0.499  -0.078
H 1.221 -3.952 -1.941  0.324
H -0.248 -5.813 -1.888  0.345
H -2.612 -6.788 -1.834  0.383
H -4.371 -5.421 -0.777  0.472
H -3.782 -3.163 0.094  0.518
H 3.264 -0.169 -3.905  0.510
H 3.060 2.306 -4.809  0.368
H 0.801 3.537 -4.144  0.368
H -0.733 2.515 -2.720  0.451
S -0.407 -1.189 2.065  -0.234
C 0.592 0.016 2.800  -0.026
N 1.916 -0.175 3.096  0.394
C 2.719 0.956 3.437  -0.433
C 2.287 2.149 2.540  -0.883
N 0.843 2.399 2.717  0.515
C 0.323 3.697 2.293  -1.456
C 0.298 4.772 3.332  1.191
C 0.867 6.003 3.000  -0.648
C 0.728 7.010 3.875  -0.539
C 0.138 6.873 5.119  -0.530
C -0.298 5.612 5.521  -0.536
C -0.200 4.525 4.640  -0.284
C 0.048 1.325 2.949  0.123
S -1.456 1.570 3.627  -0.243
C 2.425 -1.509 3.352  -1.070
C 3.732 -1.769 2.567  0.339
C 4.983 -1.742 3.253  -0.422
C 6.179 -2.009 2.629  -0.425
C 6.166 -2.523 1.333  -0.480
C 4.941 -2.708 0.697  -0.605
C 3.719 -2.250 1.248  -0.161
H 3.787 0.719 3.147  0.397
H 2.683 1.244 4.544  0.220
H 2.472 2.113 1.452  0.338
........

Link Sharing Time: Getting Started with HAES

Ragen Chastain from Dances with Fat gives us a brief intro to HAES in Transitioning from Dieting to Health at Every Size.

She says: "For those who choose HAES, our activities are chosen based on our prioritization of our health and the path that we choose to get there, and are focused around nurturing our bodies and increasing our odds for good health, rather than trying to make them a certain size or height/weight ratio."

HAES has been a large part of my ED recovery work for the past several years, or at least the core ideas of it. My exercise is still pretty erratic and I'm not healthy at my current size - yet - but I have been focusing mostly on my relationship with food so far. I don't binge any longer, but I still have high blood sugar (or insulin resistance or metabolic syndrome or whatever it's called this month). I still have to balance Intuitive Eating with the restrictions that are necessary for diabetes. It's kind of tough to separate yourself from the diet mentality when, essentially, you still have to diet. But, like everything else it's a process, and I'm working on it. My weight has stabilized; I haven't lost any weight, but I haven't continued to gain it either. I'm starting to learn how to care for myself with physical movement, learn how to exercise without punishing myself, without hurting myself. Maybe I'll lose some weight now; maybe I won't - either way, I'll be proud of myself for being able to run (a little) where I couldn't before, being able to climb stairs and ladders and still be able to breathe, and being able to hold my balance, move gracefully, be comfortable in the body I have NOW.

Thursday, December 11, 2014

Thought of the Day: 12/11/2014

On Facebook I've been posting little "Thought of the Day" posts. I just find these things that speak to me in the morning and go back to it a number of times during the day to remember something good.

Wednesday, December 10, 2014

Thought of the Day: 12/10/2014

On Facebook I've been posting little "Thought of the Day" posts. I've done several days worth now, and I thought I'd also start them here on the blog as a way to post more frequently. I just find these things that speak to me in the morning and go back to it a number of times during the day to remember something good.

"You’ve been busy trying to satisfy everyone else’s expectations. Way too many people are living a life that’s not theirs to live. They live their lives according to what others think is best for them… they live their lives according to what their parents think is best for them… to what their friends, their enemies, their teachers, their government and the media think is best for them. They ignore their inner voice and intuition. They are so busy pleasing everyone else, with living up to other people’s expectations, that they lose control over their lives. They forget what makes them happy, what they want, what they need… and eventually they forget about themselves altogether. You have one life – this one right now. You must live it, own it, and above all, NOT let other people’s opinions distract you from your truth."

Source: Marc and Angel Hack Life

Tuesday, December 9, 2014

Thought of The Day: Catching Up

On Facebook I've been posting little "Thought of the Day" posts. I've done several days worth now, and I thought I'd also start them here on the blog as a way to post more frequently. The past couple of days have been images for some reason. I just find these things that speak to me in the morning and go back to it a number of times during the day to remember something good.

Yesterday, 12/8/2014.

And today's, 12/9/2014.

Keep Calm and Sew on

I had a thought while sewing yesterday. A few thoughts.

I think I'm drawn to sewing (and crafting in general) because there are neat, straight lines. It's quite tidy when things are done correctly. The neat perfection seems to give me a feeling of order...and safety.

Perfection = Order = Safety


Follow up thoughts: My sewing is rarely neat and never perfect (except for those button holes on the Thanksgiving baby dress, squeeeee!); therefore, I also get to learn that imperfect things are still beautiful and valuable.


Sunday, September 14, 2014

Things That Make Me Inordinately Happy in Comparison to Effort Expended, In No Particular Order (2014)

I did this kind of list once before, in time for New Year 2013. This isn't a New Year's Day list, and I don't make resolutions, exactly, but I want to bring more focus on joy and fulfillment toward the end of this year. Therefore, in no particular order, here is a list of things that make me ridiculously happy.

  •  When my little kitteh, D, snuggles up on my shoulder and snurrs (snoring/purring)

  • Also when she finds stinky shoes or workout clothes and wallows in them in complete unfettered joy

  • When a song comes on that I once loved but haven't heard in a decade or two

  • Checking things off a list; I am so bad that I will add stuff I've already done to a list just so that I can mark them off

**Quantum chemistry results, as found in the file**
-- begin --
No. 1
DFT (ωB97M-V with the def2-TZVPD basis set) results for C48H105Br3N13O13 as an isolated structure in a non-equilibrium geometry.

Last column: Löwdin spin population.
Cartesian coordinates (Å):
C1 6.801 4.284 10.525  0.000
Br1 7.957 4.836 12.040  0.000
Br2 5.692 5.774 9.746  0.000
Br3 5.652 2.788 11.070  0.000
H1 7.416 4.006 9.670  0.000
C2 10.453 13.369 10.451  0.020
C3 10.080 12.125 9.605  0.022
C4 8.576 11.919 10.027  0.000
C5 7.553 12.831 9.335  0.000
C6 7.684 12.766 7.837  -0.001
C7 9.120 13.018 7.306  0.019
N1 10.212 12.426 8.165  0.382
O1 11.576 12.544 7.651  0.528
C8 9.110 12.469 5.840  0.007
C9 9.291 14.517 7.136  0.014
C10 10.855 10.901 10.065  0.005
H2 11.460 13.717 10.219  0.001
H3 10.522 13.021 11.482  0.002
H4 9.663 14.119 10.481  0.000
H5 8.310 10.883 9.814  0.000
H6 8.420 12.027 11.101  0.000
H7 7.496 13.843 9.736  0.000
H8 6.575 12.508 9.693  0.000
H9 6.970 13.523 7.511  0.000
H10 7.418 11.760 7.513  0.000
H11 8.153 12.596 5.335  0.000
H12 9.880 12.945 5.233  0.000
H13 9.223 11.388 5.754  0.000
H14 9.238 14.888 8.160  0.000
H15 10.231 14.889 6.728  0.001
H16 8.514 14.966 6.518  0.001
H17 10.935 10.013 9.437  0.000
H18 10.416 10.571 11.006  0.000
H19 11.875 11.138 10.365  0.000
C11 15.274 1.708 4.475  0.006
C12 14.299 2.805 5.227  0.017
C13 15.221 3.129 6.476  0.000
C14 14.725 4.443 7.166  0.000
C15 14.981 5.616 6.211  -0.001
C16 14.221 5.491 4.838  0.016
N2 14.319 4.035 4.375  0.343
O2 13.707 3.776 3.022  0.586
C17 12.715 5.943 5.050  0.014
C18 14.902 6.552 3.966  0.003
C19 12.876 2.293 5.614  0.013
H20 15.503 0.889 5.156  0.000
H21 16.224 2.116 4.129  0.000
H22 14.610 1.320 3.703  0.000
H23 15.207 2.453 7.331  0.000
H24 16.272 3.403 6.379  0.000
H25 15.176 4.445 8.158  0.000
H26 13.654 4.481 7.364  0.000
H27 16.061 5.746 6.131  0.000
H28 14.767 6.580 6.672  0.000
H29 12.168 5.234 5.672  0.000
H30 12.647 6.813 5.703  0.001
H31 12.131 6.121 4.147  0.002
H32 14.220 6.766 3.143  0.000
H33 15.167 7.347 4.663  0.000
H34 15.870 6.207 3.604  0.000
H35 12.369 2.053 4.679  0.001
H36 12.193 2.828 6.272  0.000
H37 12.974 1.282 6.011  0.001
C20 15.824 6.864 14.646  0.017
C21 16.205 5.752 15.714  0.021
C22 17.077 6.474 16.773  0.002
C23 16.322 7.354 17.780  0.000
C24 15.246 6.584 18.487  0.001
C25 14.252 5.864 17.500  0.015
N3 15.128 5.103 16.471  0.321
O3 14.341 4.078 15.722  0.609
C26 13.373 4.912 18.405  0.000
C27 13.363 6.891 16.883  0.010
C28 17.157 4.733 15.039  0.001
H38 16.721 7.419 14.369  0.001
H39 15.120 7.611 15.016  0.000
H40 15.508 6.407 13.709  0.002
H41 17.732 5.790 17.312  0.000
H42 17.756 7.168 16.277  0.000
H43 15.932 8.187 17.194  0.000
H44 16.870 7.810 18.604  0.000
H45 14.702 7.360 19.024  0.000
H46 15.700 5.930 19.232  0.000
H47 12.723 5.516 19.037  0.000
H48 12.775 4.164 17.884  -0.001
H49 13.990 4.277 19.041  0.000
H50 13.871 7.854 16.830  0.000
H51 13.059 6.453 15.932  0.001
H52 12.469 7.162 17.444  0.001
H53 17.589 4.132 15.840  0.000
H54 18.074 5.180 14.655  0.000
H55 16.698 4.080 14.298  -0.001
-- stop --

  • Getting a zit to pop, even though I know I'm not supposed to do that

  • When the kittehs sleep on their backs and leave those fuzzy tummies exposed

  • Colorful veggies all washed and chopped and ready for snacking

  • Getting cold enough to actually enjoy wearing a sweater

  • Hearing my beloved's voice from another room

  • Bad puns

  • Making B laugh

I'm certain there's more, but you get the idea. For a change I want to look for good things instead of only looking for the bad things, because if that's all you look for, that's all you will ever see.